Most david bowie golden years related news are at:
• Crystal structures, kept here for reference:
[1]
TbPr2Nd2Tm, relaxed, DFT PBE; energy of formation from the pure elements = 0.356 eV/f.u.; total magnetization = 0.00 μB/f.u.
1.0
-3.744 1.352 4.146
-4.246 -5.305 -2.105
4.659 -6.200 6.228
Tb Pr Nd Tm
2 4 4 2
direct
0.500 0.258 0.658 Tb
0.500 0.758 0.342 Tb
0.500 0.008 0.000 Pr
0.000 0.258 0.178 Pr
0.500 0.508 0.000 Pr
0.000 0.758 0.822 Pr
0.000 0.258 0.836 Nd
0.500 0.258 0.332 Nd
0.000 0.758 0.164 Nd
0.500 0.758 0.668 Nd
0.000 0.008 0.500 Tm
0.000 0.508 0.500 Tm


[2]
Tb2Pr4NdTm2, relaxed, DFT PBE; energy of formation from the pure elements = 0.189 eV/f.u.; total magnetization = 0.00 μB/f.u.
1.0
-3.440 -2.838 -2.521
3.247 -4.545 5.889
-5.993 4.318 3.317
Tb Pr Nd Tm
2 4 1 2
direct
0.888 0.777 0.331 Tb
0.112 0.223 0.669 Tb
0.777 0.554 0.670 Pr
0.223 0.446 0.330 Pr
0.554 0.108 0.331 Pr
0.446 0.892 0.669 Pr
0.000 0.000 0.000 Nd
0.331 0.663 0.001 Tm
0.669 0.337 0.999 Tm


[3]
Tb2Pr2Nd4Tm, relaxed, DFT PBE; energy of formation from the pure elements = 0.094 eV/f.u.; total magnetization = 0.00 μB/f.u.
1.0
3.680 0.000 0.000
-1.840 9.490 -0.517
0.000 -3.719 9.023
Tb Pr Nd Tm
2 2 4 1
direct
0.853 0.705 0.334 Tb
0.147 0.295 0.666 Tb
0.335 0.670 0.002 Pr
0.665 0.330 0.998 Pr
0.814 0.628 0.667 Nd
0.186 0.372 0.333 Nd
0.518 0.036 0.332 Nd
0.482 0.964 0.668 Nd
0.000 0.000 0.000 Tm


[4]
Tb5Pr2NdTm, relaxed, DFT PBE; energy of formation from the pure elements = 2.419 eV/f.u.; total magnetization = 0.00 μB/f.u.
1.0
-3.810 -0.057 -7.862
-7.848 -0.500 3.806
5.401 8.142 2.178
Tb Pr Nd Tm
10 4 2 2
direct
0.928 0.428 0.279 Tb
0.649 0.149 0.721 Tb
0.072 0.572 0.721 Tb
0.149 0.072 0.721 Tb
0.572 0.649 0.721 Tb
0.851 0.928 0.279 Tb
0.428 0.351 0.279 Tb
0.351 0.851 0.279 Tb
0.500 0.500 0.000 Tb
0.000 0.000 0.000 Tb
0.118 0.382 0.000 Pr
0.618 0.118 0.000 Pr
0.382 0.882 0.000 Pr
0.882 0.618 0.000 Pr
0.250 0.250 0.500 Nd
0.750 0.750 0.500 Nd
0.250 0.750 0.500 Tm
0.750 0.250 0.500 Tm


[5]
TbPrNdTm, relaxed, DFT PBE; energy of formation from the pure elements = 0.058 eV/f.u.; energy above the most stable polymorph in this dataset = 0 kJ/mol of formula units; total magnetization = 0.00 μB/f.u.
1.0
-0.576 -3.413 -1.081
3.235 1.549 -0.531
3.581 -3.905 10.420
Tb Pr Nd Tm
1 1 1 1
direct
0.333 0.667 0.920 Tb
0.000 0.000 0.430 Pr
0.667 0.333 0.169 Nd
0.667 0.333 0.680 Tm


[6]
Tb6PrNd2Tm3, relaxed, DFT PBE; energy of formation from the pure elements = 0.249 eV/f.u.; total magnetization = 0.00 μB/f.u.
1.0
6.196 0.001 0.010
-3.096 5.367 0.010
-1.049 -1.816 11.651
Tb Pr Nd Tm
6 1 2 3
direct
0.914 0.580 0.744 Tb
0.753 0.753 0.256 Tb
0.086 0.420 0.256 Tb
0.580 0.914 0.744 Tb
0.247 0.247 0.744 Tb
0.420 0.086 0.256 Tb
0.000 0.000 0.000 Pr
0.333 0.667 0.000 Nd
0.667 0.333 0.000 Nd
0.167 0.833 0.500 Tm
0.833 0.167 0.500 Tm
0.500 0.500 0.500 Tm


What is the energy of formation from the pure elements in the first record?
0.356 eV/f.u.


What did the fifth record say?

Patrice – The Rising of the Son 27 Aug 2013 | 11:47 am
Die aufgehende Sonne konnte man mit Patrice am frühen Morgen des 21. August in Hamburg an der „Strandperle“ erleben (Foto siehe unten). Nicht die schlechteste PR-Aktion, die er auch in einigen anderen...
Susanne Blech – Helmut Kohl EP 27 Aug 2013 | 11:39 am
Susanne Blech wollen überhaupt nichts aussagen. Sänger Timon Karl Kaleyta wehrt sich vehement gegen Botschaften in Songs, die viele Bands an die Außenwelt vermitteln möchten. Während er das klarstellt...
More david bowie golden years related news:
DAVID BOWIE Where We Are Now? (New Single 2013) 9 Jan 2013 | 06:43 am
Happy Birthday David Bowie - 66 Years old today. -- New album out in March. DAVID BOWIE Where We Are Now? (New Single 2013) from Videodrome Discothèque on Vimeo.
Dave Bing Volume 2 18 Dec 2010 | 04:01 am
This year's Holiday party is at Leopold's Books. Tonight!!! at 7 pm. Come as David Bowie or Bing Crosby, but don't come as Bill Cosby because that one doesn't really work. I tried last year. Damn, it'...
David Bowie - Cat People - Gasoline 22 Sep 2009 | 06:55 am
See these eyes so green I can stare for a thousand years Colder than the moon It's been so long And I've been putting out fire With gasoline See these eyes so red Red like jungle burning bright Thos...
I never thought I'd need so many people 28 Oct 2012 | 07:00 pm
FIVE YEARS Há um tempo atrás comecei a ler a biografia de David Bowie, por Marc Spitz. Bom livro. Bem redigido. Cuidadoso. Eis que então nas primeiras páginas é possível ler... "Para todos aqueles q...
English Radio Costa Del Sol – David Bowie Returns With First New Music in 10 Years 9 Jan 2013 | 04:21 pm
David Bowie celebrated his 66th birthday this morning with a surprise for everyone else: he broke a long musical silence with the new single “Where Are We Now?” from a forthcoming album, The Next Day,...
Exhibitions Worth the Trip: David Bowie is 11 Feb 2013 | 01:07 pm
Album cover shoot for Aladdin Sane. Image: © Duffy Archive. 2013 just may be the year of David Bowie. Not only does he have a new album coming out, but he also has a retrospective this year at the Vi...
David Bowie 2 Apr 2013 | 06:32 am
You may have heard that David Bowie released a new album this past month - his first in ten years. It's called The Next Day. As a devout Bowie worshipper (certified as such by my past subscription to ...
David Bowie: Let’s Dance SACD-R ***REPOST*** 10 Jul 2013 | 11:26 am
Year: 1983 Label: EMI America Genre: Rock Format: SACD-R Source: 2 Channel Reel To Reel Tape SACD Layer: Stereo CD Layer: None 1. Modern Love 2. China Girl 3. Let’s Dance 4. Without You 5. ...
Peter Gabriel Scratched a Few Backs, Now Bon Iver, Arcade Fire, Others Return the Favor 25 Jul 2013 | 06:38 pm
It has been four years since Peter Gabriel released Scratch My Back, his 15th studio album and one on which he covered songs by Lou Reed, Bon Iver, Arcade Fire, David Bowie and others. Well, Peter Gab...
Die 90er – mein “Golden Years” der Musik 14 Aug 2013 | 10:25 am
Beim Spotify T-Piloten Blog wurde gefragt, was mein persönliches Jahrzehnt der Musikgeschichte war. Die 90er – kurz nachdem David Hasselhoff die Berliner Mauer mit Looking for Freedom nieder gesungen...